Dance-Performance at the »Elephant«
With »Geneigter«, Zwoisy Mears-Clarke continues the tradition of German folk dances. Driven by emotions and engrained intentions, two dancers perform movements, scenes are enacted in German sign language and songs are sung in German. They tell a story that begins with our great-grandparents—a story that in view of the systematic silence regarding Germany’s colonial past remains largely unknown.
It is about the almost 140-year-old connection between the Germans and the Ovaherero and Nama, two indigenous tribes in Namibia. This »relationship« was violently started by Germany as a colonial power in what was then German South-West Africa (now Namibia). Historians commonly call the occurrences between 1904 and 1908 the first genocide of the 20th century.
»Geneigter« addresses these relations belonging to Germany and that, once established, cannot be undone again. Therefore, this dance amplifies the call of the Ovaherero, Nama and so many others: »Nothing about us without us!«
Zwoisy Mears-Clarke grasps herself as a choreographer of movements. Zwoisy uses the potential of dance and storytelling to visualize forms of oppression, such as neocolonialism, sexism and ableism, and to enable encounters that would be impossible under other circumstances. Alternating between spoken language and languages of movement, Zwoisy’s choreographies offer the possibility to encounter oneself and others in a new way.

Concept, Choreography: Zwoisy Mears-Clarke
Co-concept, Outside Eye: Vijitua Ndjiharine
Co-Choreography, Performance: Dodzi Dougban, Clara Marie Müller
Libretto, Music: Rishin Singh
Costume design: Kristin Gerwien, Anna Hentschel
Dramaturgy, Creative Companionship: Louise Trueheart
Consulting Expertise: Xenia Dürr, Sophia Neises, Joana Tischkau
Interpreting for German Sign Language: Sarena Bockers
## Crystal structures from another source follow
'''
Entry 1:
Computed, not measured: a relaxed La6PrCo2 crystal at the PBE level of DFT.

Unit cell a=8.615 b=8.615 c=9.491 alpha=111.87 beta=111.87 gamma=60.30
Atoms (fractional coordinates):
La: 0.055 0.638 0.444
La: 0.076 0.667 0.844
La: 0.275 0.423 0.116
La: 0.333 0.924 0.656
La: 0.362 0.945 0.056
La: 0.423 0.275 0.616
La: 0.577 0.725 0.384
La: 0.638 0.055 0.944
La: 0.667 0.076 0.344
La: 0.725 0.577 0.884
La: 0.924 0.333 0.156
La: 0.945 0.362 0.556
Pr: 0.078 0.922 0.250
Pr: 0.922 0.078 0.750
Co: 0.165 0.264 0.853
Co: 0.264 0.165 0.353
Co: 0.736 0.835 0.647
Co: 0.835 0.736 0.147

## Properties
Space-group type: C2/c (15)
ΔE_f (eV/atom): -0.006
Volume (Å³/atom): 30.67
Total energy (eV per atom): -5.40

=====

Entry 2:
Computed, not measured: a relaxed MnNi2Cl crystal at the PBE level of DFT.

Unit cell a=5.312 b=5.312 c=5.312 alpha=102.48 beta=102.48 gamma=124.61
Atoms (fractional coordinates):
Mn: 0.000 0.000 0.000
Mn: 0.750 0.250 0.500
Ni: 0.154 0.625 0.029
Ni: 0.375 0.404 0.529
Ni: 0.596 0.125 0.971
Ni: 0.875 0.846 0.471
Cl: 0.250 0.750 0.500
Cl: 0.500 0.500 0.000

## Properties
Space-group type: I-42d (122)
Uncorrected formation energy (eV/atom): 0.45
Volume (Å³/atom): 13.65
Total energy (eV per atom): -5.20

=====

Entry 3:
Computed, not measured: a relaxed TbY12Ho6 crystal at the PBE level of DFT.

Unit cell a=9.124 b=9.124 c=9.124 alpha=106.62 beta=106.62 gamma=106.62
Atoms (fractional coordinates):
Tb: 0.000 0.000 0.000
Y: 0.137 0.826 0.281
Y: 0.174 0.719 0.863
Y: 0.191 0.577 0.482
Y: 0.281 0.137 0.826
Y: 0.423 0.518 0.809
Y: 0.482 0.191 0.577
Y: 0.518 0.809 0.423
Y: 0.577 0.482 0.191
Y: 0.719 0.863 0.174
Y: 0.809 0.423 0.518
Y: 0.826 0.281 0.137
Y: 0.863 0.174 0.719
Ho: 0.076 0.186 0.453
Ho: 0.186 0.453 0.076
Ho: 0.453 0.076 0.186
Ho: 0.547 0.924 0.814
Ho: 0.814 0.547 0.924
Ho: 0.924 0.814 0.547

## Properties
Space-group type: R-3 (148)
ΔE_f (eV/atom): 0.257
Volume (Å³/atom): 33.63
Total energy (eV per atom): -5.51

=====

Q: Which of these has the lowest total energy?
A: TbY12Ho6

~~~~~

Arrangement a

# YHgSeO GGA-PBE optimized geometry
# Spin magnetization: 0.126 μB/atom
data_YHgSeO
_chemical_formula_sum 'Y2 Hg2 Se2 O2'
_symmetry_space_group_name_H-M 'P 4/n m m'
_symmetry_Int_Tables_number 129
_cell_length_a 4.0231
_cell_length_b 4.0231
_cell_length_c 10.1096
_cell_angle_alpha 90.00
_cell_angle_beta 90.00
_cell_angle_gamma 90.00
loop_
_symmetry_equiv_pos_as_xyz
'x,y,z'
'-x,-y,-z'
'-y+1/2,x,z'
'y+1/2,-x,-z'
'-x+1/2,-y+1/2,z'
'x+1/2,y+1/2,-z'
'y,-x+1/2,z'
'-y,x+1/2,-z'
'x+1/2,-y,-z'
'-x+1/2,y,z'
'-y,-x,-z'
'y,x,z'
'-x,y+1/2,-z'
'x,-y+1/2,z'
'y+1/2,x+1/2,-z'
'-y+1/2,-x+1/2,z'
loop_
_atom_site_label
_atom_site_fract_x
_atom_site_fract_y
_atom_site_fract_z
Y1 0.2500 0.2500 0.1050
Hg1 0.2500 0.7500 0.5000
Se1 0.2500 0.2500 0.7402
O1 0.2500 0.7500 0.0000


Arrangement b

# YHgSeO GGA-PBE optimized geometry
# Spin magnetization: 0.001 μB/atom
data_YHgSeO
_chemical_formula_sum 'Y2 Hg2 Se2 O2'
_symmetry_space_group_name_H-M 'P m c 21'
'''
Voice coach: Alessio Castellacci
Visual Description / Sign Language Poetry: Indika Sandaruwan
Audio description: Europa Grace, Zwoisy Mears-Clarke
Translation audio description: Utku Mogultay, Elena Polzer
Production management: honest work - free cultural office
Collaboration production: Esther Schneider, Franziska Hauser
Collaboration choreography: Yvonne Sembene
A production by Zwoisy Mears-Clarke in cooperation with ehrliche arbeit - freies Kulturbüro and tanzhaus nrw. Supported by Kunststiftung NRW and Fonds Darstellende Künste with funds from the Federal Government Commissioner for Culture and the Media. Supported by Künstlerhaus Lukas and Community Art Team (CAT) Cologne.